What is needed: copy the listing underneath from the line with "0.6608 x4" to the end without altering anything.
No. 1
This record from the Alexandria database describes a geometry-optimized La2In6CuRu structure. The functional is PBE.

Cell lengths 7.4776, 9.5951, 7.1542 Å; angles 90.00, 90.00, 90.00 degrees
Space group Pmmn (No. 59, origin choice 2)
One atom of each set of equivalent atoms:
La 0.2500 0.0075 0.2311 x4
In 0.0471 0.2500 0.9194 x4
In 0.0558 0.7500 0.5544 x4
In 0.2500 0.0061 0.7394 x4
Cu 0.2500 0.2500 0.5767 x2
Ru 0.2500 0.7500 0.8894 x2

Computed properties:
- DOS at the Fermi energy (states/eV/f.u.) = 6.9
- energy relative to the elements (eV per atom) = -0.203



No. 2
This record from the Alexandria database describes a geometry-optimized La2InCuS5 structure. The functional is PBE.

Cell lengths 3.9677, 16.7244, 11.7402 Å; angles 90.00, 90.00, 90.00 degrees
Space group Cmc2_1 (No. 36)
One atom of each set of equivalent atoms:
La 0.0000 0.1112 0.0000 x4
La 0.0000 0.1226 0.6152 x4
In 0.0000 0.1917 0.3150 x4
Cu 0.0000 0.4982 0.2939 x4
S 0.0000 0.0417 0.3697 x4
S 0.0000 0.2899 0.9714 x4
S 0.0000 0.3014 0.6608 x4
S 0.0000 0.3532 0.3126 x4
S 0.0000 0.4981 0.5986 x4

Computed properties:
- DOS at the Fermi energy (states/eV/f.u.) = 0.1
- ΔE to the lowest computed polymorph (meV per atom) = 36
- E_form (uncorrected) (eV/f.u.) = -12.627



No. 3
This record from the Alexandria database describes a geometry-optimized La2InCuS5 structure. The functional is PBE.

Cell lengths 11.6526, 3.9720, 16.9102 Å; angles 90.00, 90.00, 90.00 degrees
Space group Pnma (No. 62)
One atom of each set of equivalent atoms:
La 0.0208 0.2500 0.1784 x4
La 0.1358 0.7500 0.5928 x4
In 0.1941 0.7500 0.3605 x4
Cu 0.0859 0.7500 0.9991 x4
S 0.0141 0.2500 0.6946 x4
S 0.1007 0.2500 0.9265 x4
S 0.1116 0.2500 0.4625 x4
S 0.1827 0.7500 0.1159 x4
S 0.2401 0.7500 0.7720 x4

Computed properties:
- ΔE to the lowest computed polymorph (meV per atom) = 0
- E_form (uncorrected) (eV/f.u.) = -12.949


VASP calculation (PBE) on an optimized crystal structure of Li2Zn4Au5.

Geometry as CIF:
```
data_Li2Zn4Au5
_chemical_formula_sum 'Li4 Zn8 Au10'
_cell_length_a 9.0612
_cell_length_b 5.6472
_cell_length_c 7.4701
_cell_angle_alpha 90.00
_cell_angle_beta 108.90
_cell_angle_gamma 90.00
_space_group_name_H-M_alt 'C 1 2/m 1'
_space_group_IT_number 12
loop_
_space_group_symop_operation_xyz
'x,y,z'
'-x,-y,-z'
'-x,y,-z'
'x,-y,z'
'x+1/2,y+1/2,z'
'-x+1/2,-y+1/2,-z'
'-x+1/2,y+1/2,-z'
'x+1/2,-y+1/2,z'
loop_
_atom_site_label
_atom_site_type_symbol
_atom_site_fract_x
_atom_site_fract_y
_atom_site_fract_z
Li1 Li 0.0957 0.0000 0.3697
Zn1 Zn 0.0998 0.5000 0.3784
Zn2 Zn 0.1429 0.0000 0.9979
Au1 Au 0.0000 0.5000 0.0000
Au2 Au 0.1740 0.2495 0.7094
```

Calculated values
The formation energy comes out at -0.28 eV per atom. The raw total energy is -2.5841 eV/atom. The calculation puts the mass density at 11.57 g/cm³.


This record from OQMD via LeMat-Bulk describes crystalline FeSiWAu at its relaxed geometry. The functional is PBE.

Cell and atoms, written as POSCAR:
```
FeSiWAu
1.0
0.000 3.075 3.075
3.075 0.000 3.075
3.075 3.075 0.000
Fe Si W Au
1 1 1 1
direct
0.000 0.000 0.000
0.750 0.750 0.750
0.500 0.500 0.500
0.250 0.250 0.250
```

Values from the calculation:
ΔE to the lowest computed polymorph: 0.000 eV per atom
Spin magnetization: 1.66 μB per cell


This record from OQMD via LeMat-Bulk describes crystalline Nd2Y2IBr4N at its relaxed geometry. The functional is PBE.

Cell and atoms, written as POSCAR:
```
Nd2Y2IBr4N
1.0
8.910 -1.929 0.000
8.910 1.929 0.000
-2.056 0.000 8.221
Nd Y I Br N
2 2 1 4 1
direct
0.141 0.141 0.073
0.859 0.859 0.927
0.499 0.499 0.189
0.501 0.501 0.811
0.000 0.000 0.500
0.333 0.333 0.179
0.338 0.338 0.656
0.662 0.662 0.344
0.667 0.667 0.821
0.000 0.000 0.000
```

Values from the calculation:
Electronic total energy: -5.44 eV per atom
Spin magnetization: 0.00 μB per cell


This record from OQMD via LeMat-Bulk describes crystalline SiAg2HgTeS3 at its relaxed geometry. The functional is PBE.

Cell and atoms, written as POSCAR:
```
SiAg2HgTeS3
1.0
4.176 -4.084 0.000
S 0.0000 0.3014 0.6608 x4
S 0.0000 0.3532 0.3126 x4
S 0.0000 0.4981 0.5986 x4

Computed properties:
- DOS at the Fermi energy (states/eV/f.u.) = 0.1
- ΔE to the lowest computed polymorph (meV per atom) = 36
- E_form (uncorrected) (eV/f.u.) = -12.627



No. 3
This record from the Alexandria database describes a geometry-optimized La2InCuS5 structure. The functional is PBE.

Cell lengths 11.6526, 3.9720, 16.9102 Å; angles 90.00, 90.00, 90.00 degrees
Space group Pnma (No. 62)
One atom of each set of equivalent atoms:
La 0.0208 0.2500 0.1784 x4
La 0.1358 0.7500 0.5928 x4
In 0.1941 0.7500 0.3605 x4
Cu 0.0859 0.7500 0.9991 x4
S 0.0141 0.2500 0.6946 x4
S 0.1007 0.2500 0.9265 x4
S 0.1116 0.2500 0.4625 x4
S 0.1827 0.7500 0.1159 x4
S 0.2401 0.7500 0.7720 x4

Computed properties:
- ΔE to the lowest computed polymorph (meV per atom) = 0
- E_form (uncorrected) (eV/f.u.) = -12.949


VASP calculation (PBE) on an optimized crystal structure of Li2Zn4Au5.

Geometry as CIF:
```
data_Li2Zn4Au5
_chemical_formula_sum 'Li4 Zn8 Au10'
_cell_length_a 9.0612
_cell_length_b 5.6472
_cell_length_c 7.4701
_cell_angle_alpha 90.00
_cell_angle_beta 108.90
_cell_angle_gamma 90.00
_space_group_name_H-M_alt 'C 1 2/m 1'
_space_group_IT_number 12
loop_
_space_group_symop_operation_xyz
'x,y,z'
'-x,-y,-z'
'-x,y,-z'
'x,-y,z'
'x+1/2,y+1/2,z'
'-x+1/2,-y+1/2,-z'
'-x+1/2,y+1/2,-z'
'x+1/2,-y+1/2,z'
loop_
_atom_site_label
_atom_site_type_symbol
_atom_site_fract_x
_atom_site_fract_y
_atom_site_fract_z
Li1 Li 0.0957 0.0000 0.3697
Zn1 Zn 0.0998 0.5000 0.3784
Zn2 Zn 0.1429 0.0000 0.9979
Au1 Au 0.0000 0.5000 0.0000
Au2 Au 0.1740 0.2495 0.7094
```

Calculated values
The formation energy comes out at -0.28 eV per atom. The raw total energy is -2.5841 eV/atom. The calculation puts the mass density at 11.57 g/cm³.


This record from OQMD via LeMat-Bulk describes crystalline FeSiWAu at its relaxed geometry. The functional is PBE.

Cell and atoms, written as POSCAR:
```
FeSiWAu
1.0
0.000 3.075 3.075
3.075 0.000 3.075
3.075 3.075 0.000
Fe Si W Au
1 1 1 1
direct
0.000 0.000 0.000
0.750 0.750 0.750
0.500 0.500 0.500
0.250 0.250 0.250
```

Values from the calculation:
ΔE to the lowest computed polymorph: 0.000 eV per atom
Spin magnetization: 1.66 μB per cell


This record from OQMD via LeMat-Bulk describes crystalline Nd2Y2IBr4N at its relaxed geometry. The functional is PBE.

Cell and atoms, written as POSCAR:
```
Nd2Y2IBr4N
1.0
8.910 -1.929 0.000
8.910 1.929 0.000
-2.056 0.000 8.221
Nd Y I Br N
2 2 1 4 1
direct
0.141 0.141 0.073
0.859 0.859 0.927
0.499 0.499 0.189
0.501 0.501 0.811
0.000 0.000 0.500
0.333 0.333 0.179
0.338 0.338 0.656
0.662 0.662 0.344
0.667 0.667 0.821
0.000 0.000 0.000
```

Values from the calculation:
Electronic total energy: -5.44 eV per atom
Spin magnetization: 0.00 μB per cell


This record from OQMD via LeMat-Bulk describes crystalline SiAg2HgTeS3 at its relaxed geometry. The functional is PBE.

Cell and atoms, written as POSCAR:
```
SiAg2HgTeS3
1.0
4.176 -4.084 0.000